_Request_
Retype only the last part of the notes underneath, starting with the line that has "23.2 Å³/atom".
_Data_
Here is crystalline ScIn2Ir at its relaxed geometry from the Alexandria database. Energies are from PBE.

Unit cell a=3.1755 b=3.1755 c=7.8615 alpha=90.00 beta=90.00 gamma=90.00
Space group P4/mmm (No. 123)
One atom of each set of equivalent atoms:
Sc 0.0000 0.0000 0.0000 x1
In 0.5000 0.5000 0.2810 x2
Ir 0.0000 0.0000 0.5000 x1

Energy of formation (eV per atom): -0.2200
Size of the total moment (μB per cell): 0.67

----------

DFT (GGA-PBE) results for a relaxed structure of BeGaPb2.

Cell lengths 5.1001, 5.1001, 5.1001 Å; angles 60.00, 60.00, 60.00 degrees
Last column: nearest neighbours and their distance in Å.
Fractional positions:
Be 0.0000 0.0000 0.0000  8 Pb 3.12
Ga 0.5000 0.5000 0.5000  8 Pb 3.12
Pb 0.7500 0.7500 0.7500  4 Be 3.12, 4 Ga 3.12
Pb 0.2500 0.2500 0.2500  4 Be 3.12, 4 Ga 3.12

Results
electronic total energy = -3.059 eV per atom
SG = No. 225
calculated volume = 23.452 Å³/atom
DFT formation energy = 483.0 meV/atom

***

DFT (GGA-PBE) results for a relaxed structure of KAcAlO4.

Cell lengths 5.4697, 5.5457, 6.9869 Å; angles 90.00, 113.04, 90.00 degrees
Last column: nearest neighbours and their distance in Å.
Fractional positions:
K 0.4034 0.2500 0.8069  9 O 2.66-2.78
O 0.5000 0.5000 0.5000  2 Al 1.95
O 0.0000 0.5000 0.5000  2 Al 1.95
O 0.3898 0.7500 0.7796  1 Al 1.89
Ac 0.1130 0.2500 0.2260  9 O 2.61-2.79
O 0.6102 0.2500 0.2204  1 Al 1.89
O 0.9098 0.2500 0.8196  1 Al 1.96
O 0.0902 0.7500 0.1804  1 Al 1.96
Ac 0.8870 0.7500 0.7740  9 O 2.61-2.79
K 0.5966 0.7500 0.1931  9 O 2.66-2.78
O 0.0000 0.0000 0.5000  2 Al 1.95
O 0.5000 0.0000 0.5000  2 Al 1.95
Al 0.7570 0.2500 0.5140  6 O 1.89-1.96
Al 0.2430 0.7500 0.4860  6 O 1.89-1.96

Results
formation energy (no corrections) = -241.3 kJ per mole of atoms
electronic total energy = -6.612 eV per atom
SG = No. 63
calculated volume = 13.930 Å³/atom

***

DFT (GGA-PBE) results for a relaxed structure of ZrCdSi2.

Cell lengths 2.9335, 2.9335, 8.7799 Å; angles 90.00, 90.00, 90.00 degrees
Last column: nearest neighbours and their distance in Å.
Fractional positions:
Zr 0.5000 0.5000 0.2500  8 Si 2.90, 4 Zr 2.93
Cd 0.5000 0.5000 0.7500  4 Cd 2.93, 8 Si 3.15
Si 0.0000 0.0000 0.4805  4 Zr 2.90, 4 Si 2.93, 4 Cd 3.15
Si 0.0000 0.0000 0.0195  4 Zr 2.90, 4 Si 2.93, 4 Cd 3.15

Results
formation energy (no corrections) = 5.2 kJ per mole of atoms
electronic total energy = -5.023 eV per atom
SG = No. 123
calculated volume = 18.889 Å³/atom

***

Number 1: total magnetization 0.00 μB/cell. Number 2: total magnetization 2.03 μB/cell. Number 3: total magnetization 0.00 μB/cell.

----------

Entry 1:
! Re3SbP, relaxed, DFT GGA-PBE; values from VASP
! Raw formation energy ... 2921.5 meV per atom
! E ... -0.4743 Ry/atom
! Volume ... 22.8 Å³/atom
&SYSTEM
  ibrav = 0, nat = 5, ntyp = 3
/
ATOMIC_SPECIES
Re 186.21 Re.upf
Sb 121.76 Sb.upf
P 30.97 P.upf
CELL_PARAMETERS angstrom
4.8519 0.0000 0.0000
0.0000 4.8519 0.0000
0.0000 0.0000 4.8519
ATOMIC_POSITIONS angstrom
Re 0.0000 0.0000 2.4260
Re 0.0000 2.4260 0.0000
Re 2.4260 0.0000 0.0000
Sb 0.0000 0.0000 0.0000
P 2.4260 2.4260 2.4260

=====

Entry 2:
! PuMn2Ni, relaxed, DFT GGA-PBE; values from VASP
! Energy relative to the elements ... -0.019 eV per atom
! E ... -0.7080 Ry/atom
! Volume ... 14.7 Å³/atom
&SYSTEM
  ibrav = 0, nat = 4, ntyp = 3
/
ATOMIC_SPECIES
Pu 244.00 Pu.upf
Mn 54.94 Mn.upf
Ni 58.69 Ni.upf
CELL_PARAMETERS angstrom
3.9762 0.0000 0.0000
0.0000 3.9762 0.0000
0.0000 0.0000 3.7181
ATOMIC_POSITIONS angstrom
Pu 0.0000 0.0000 0.0000
Mn 0.0000 1.9881 1.8590
Mn 1.9881 0.0000 1.8590
Ni 1.9881 1.9881 0.0000

=====

Entry 3:
! TbErInNi, relaxed, DFT GGA-PBE; values from VASP
! Energy relative to the elements ... -0.318 eV per atom
! E ... -0.3489 Ry/atom
! Volume ... 23.2 Å³/atom
&SYSTEM
  ibrav = 0, nat = 4, ntyp = 4
/
ATOMIC_SPECIES
Tb 158.93 Tb.upf
Er 167.26 Er.upf
In 114.82 In.upf
Ni 58.69 Ni.upf
CELL_PARAMETERS angstrom
0.0000 3.5923 3.5923
3.5923 0.0000 3.5923
3.5923 3.5923 0.0000
ATOMIC_POSITIONS angstrom
Tb 0.0000 0.0000 0.0000
_Reply_
! Volume ... 23.2 Å³/atom
&SYSTEM
  ibrav = 0, nat = 4, ntyp = 4
/
ATOMIC_SPECIES
Tb 158.93 Tb.upf
Er 167.26 Er.upf
In 114.82 In.upf
Ni 58.69 Ni.upf
CELL_PARAMETERS angstrom
0.0000 3.5923 3.5923
3.5923 0.0000 3.5923
3.5923 3.5923 0.0000
ATOMIC_POSITIONS angstrom
Tb 0.0000 0.0000 0.0000